If you really want to dive deep into the physics of sound then I suggest you pick up a textbook or Wikipedia article to find all the information your heat desires. But for the sake of this article, and for those of you who want a simpler and quicker overview, I’ll explain what sound is and how it functions.
In the simplest term, a sound is a wave. And just like a wave in the ocean, a sound wave is a bunch of particles bumping into each other, causing a perceived wave that moves through a medium. The air that we breath is really just a big pool of various gas particles, bumping into each other and swirling around. And when you, for example, clap your hands, the impact of your hands upon each other causes the closest air particles to move outward. As they move outward the particles bump into other particles, which thus bump into even more particles. This chain reaction of bumping creates a wave that spreads outward in all directions from your clapping hands and ultimately bumps into your eardrums. And this bump against your eardrum, my friend, is perceived by your brain as a sound.
_Records of molecules, kept here for reference_
- - -
Record 1
A molecular structure, C25H41IrN2O2P3Se in a non-equilibrium geometry. Source: the Open Molecules 2025 dataset; level of theory: ωB97M-V/def2-TZVPD.

CARTESIAN COORDINATES (ANGSTROEM)
1 Ir 0.47501 0.38086 -2.83952
2 Se 1.33438 -1.83567 1.30094
3 P 4.62025 -1.29268 -0.54250
4 P -1.35360 3.92752 -1.90072
5 P -2.98146 -2.06226 -0.17794
6 O 0.95583 2.17695 -0.24682
7 O -1.15750 0.24383 0.21325
8 N 0.43101 -0.49085 3.68919
9 N -0.09851 -2.60687 3.69090
10 C -0.62630 5.40624 -2.68585
11 C 1.25699 1.38867 -4.43962
12 C -1.78960 -3.31202 -0.70670
13 C 0.55417 -1.64416 2.94324
14 C -3.08420 3.95896 -2.46192
15 C -3.63906 -2.18121 1.45487
16 C -1.58143 4.40932 -0.15793
17 C -1.99663 -1.72091 6.79106
18 C -0.66566 -2.05835 4.84604
19 C -0.32905 -0.71525 4.84185
20 C -1.51457 -2.59620 5.80496
21 C 1.02642 -1.02875 -4.28734
22 C -1.65341 -0.35191 6.78729
23 C 1.85072 0.11066 -4.31882
24 C -0.92517 0.34741 -4.44106
25 C -4.20307 -2.01720 -1.50743
26 C -1.84143 -0.61673 -0.18215
27 C 0.86912 0.82359 3.26344
28 C -0.80030 0.17264 5.80575
29 C 5.41636 0.14732 -1.40242
30 C -0.35627 -0.89669 -4.28189
31 C 5.32026 -2.78987 -1.39818
32 C 0.68211 1.49066 -1.14316
33 C 5.10859 -1.17823 1.25561
34 C -0.15000 1.49375 -4.50422
35 H 5.94776 -1.82762 1.53767
36 H -1.17785 6.32692 -2.47287
37 H 6.38927 -2.96706 -1.21903
38 H -4.45722 -2.91791 1.51691
39 H -0.59632 5.24299 -3.77033
40 H -3.49493 4.97082 -2.50439
41 H 0.41214 5.51951 -2.35329
42 H 4.18963 -1.46304 1.79607
43 H -2.24706 -4.31517 -0.68299
44 H 1.81793 0.73855 2.72635
45 H -2.06128 0.30263 7.56058
46 H 4.77778 0.37566 -2.27224
47 H 2.90578 0.01606 -4.09250
48 H -0.62380 2.47625 -4.46974
49 H -2.84386 -2.45078 2.16645
50 H -0.89801 -3.26680 -0.06074
51 H 4.73018 -3.64751 -1.03237
52 H -3.69699 -1.95381 -2.48786
53 H 5.11921 -2.66447 -2.47795
54 H -2.65107 -2.09033 7.58264
55 H -3.10460 3.50675 -3.45937
56 H -0.49050 1.21594 5.76560
57 H 1.47938 -2.01566 -4.24792
58 H -0.60352 4.58441 0.30892
59 H 5.40170 1.01711 -0.73128
60 H -4.85916 -1.13792 -1.40896
61 H -3.70120 3.34308 -1.79728
62 H -2.00720 0.45169 -4.43471
63 H -1.75760 -3.65609 5.75228
64 H -2.04373 3.55544 0.35733
65 H 1.82406 2.31008 -4.24425
66 H 5.32798 -0.11715 1.44993
67 H -0.97136 -1.78752 -4.17289
68 H -0.19067 -3.56455 3.38349
69 H 0.99284 1.43127 4.16479
70 H 6.44065 -0.01856 -1.75361
71 H -2.23608 5.28504 -0.07092
72 H -1.45947 -3.07420 -1.73372
73 H -4.03943 -1.18976 1.72047
74 H 0.13563 1.29982 2.59953
75 H -4.83302 -2.92668 -1.49998

gap between HOMO and LUMO (spin up / spin down) = 6.0 / 2.9 eV
LUMO (spin up / spin down) = -10.99 / -13.80 eV
total charge = +4
2S+1 = 6
strongest force on any atom = 8.69 eV Å⁻¹
E_HOMO (spin up / spin down) = -17.0 / -16.7 eV

Record 2
C2HF3 in the gas phase in a non-equilibrium geometry. Source: the Open Molecules 2025 dataset; level of theory: ωB97M-V/def2-TZVPD.

CARTESIAN COORDINATES (ANGSTROEM)
1 F -1.70706 -0.27672 -0.10409
2 F -0.49717 1.60325 0.02278
3 F 1.62899 0.32401 -0.13322
- - -
Sound waves can travel through any medium that offers moving particles that can bump into each other, such as air and water. Sound doesn’t travel well through hard substances since the particles are tightly packed and resist movement from waves. Beyond the atmosphere in the emptiness of space, it’s a well-known fact that no one will hear you scream since there are no particles present to create a wave.
# Here the piece breaks off for molecular data
-- begin --
9
Properties=species:S:1:pos:R:3 method="wB97M-V/def2-TZVPD" e_homo_ev=-12.6 e_above_lowest_kcal_mol=36.39 total_energy_ha=-921.73879
C -1.771 0.806 -0.095
N -2.718 1.435 -0.154
N 1.797 0.203 0.005
O 1.235 -0.941 0.200
O 2.962 0.343 -0.037
O -0.835 -1.274 -1.170
O -0.986 -1.077 1.332
O 0.966 1.086 -0.131
S -0.650 -0.581 0.050
-- stop --
All materials absorb the energy from sound waves, but some more-so than others. For example, a steel wall will absorb very little energy since its particles are tightly packed, causing the sound wave to deflect away from the surface at nearly the same force it had before impacting the wall. Alternatively, foam will absorb much more energy from a wave since the foam’s particles are looser and more likely to transfer energy from the wave. This results in the wave bouncing off the foam with far less energy. The differences perceived will be a difference in volume—a wave off a steel wall will be louder, while the one off the foam is quieter. You can easily notice these differences in your own home. Make noise in your kitchen and will likely hear your noises bouncing back at you from the hard-counter tops and refrigerator door. Most people will perceive this effect as “my voice sounds farther away” or “the room is nosier.” For the opposite effect, walk into your family room or bedroom where there will likely be carpets, blankets, and pillows to absorb sounds. This room will sound quitter and your voice might sound closer to your mouth. Since all rooms are different and vary at the atomic level, technically all rooms will sound different and unique. No two rooms will sound the same.
Quantum chemistry results, as found in the file
********
1.
Density functional theory data (wB97M-V/def2-TZVPD) for a molecular structure, C73H59N6O3P2S2Ta.

Output
Largest force on an atom in eV/A: 1.44
HOMO energy in Ha: -0.60832
Energy relative to the best compared isomer or geometry (same formula, charge and spin) in eV: 3.847
Kohn-Sham gap in eV: 5.617
Multiplicity: 1
Charge: +4

The geometry in XYZ format:
```
146
Properties=species:S:1:pos:R:3:mulliken_charge:R:1
Ta 0.42325 0.48086 0.12232 1.732
O -0.81768 -0.80448 -1.11095 -1.115
S 0.24475 -1.62709 -1.90796 1.985
C -0.48422 -3.23366 -2.11421 -0.546
C -0.84536 -3.70263 -3.36546 -0.140
C -1.15494 -5.04486 -3.60764 -1.305
C -1.06996 -5.93058 -2.56224 -0.128
C -1.25947 -7.41502 -2.50124 -0.739
C -1.07855 -7.78152 -1.00869 -0.854
C -0.76681 -6.48319 -0.32823 0.309
C -0.51878 -6.17942 0.98762 -0.985
C -0.29860 -4.84157 1.32349 0.171
C -0.28883 -3.79525 0.40079 -0.976
P -0.11470 -2.17402 1.23562 3.595
C -1.62791 -2.02086 2.22783 -0.666
C -2.65663 -2.87894 2.19750 -0.479
C -3.91685 -2.59522 2.88209 -1.254
C -4.14013 -1.45288 3.53149 -1.431
C -3.10585 -0.37736 3.64074 -0.178
C -1.79954 -0.67505 2.85555 0.715
C 1.25253 -2.54627 2.36113 0.212
C 1.22170 -2.33822 3.67995 -0.345
C 2.47710 -2.25895 4.48866 -0.617
C 3.75023 -2.27840 3.59361 -0.249
C 3.64354 -3.01736 2.30227 -1.368
C 2.46592 -3.05241 1.68910 -1.284
C -0.48654 -4.08924 -0.97457 -1.264
C -0.76259 -5.44088 -1.27349 1.033
C 0.16049 -0.94106 -3.54483 -0.036
C 1.01442 -1.57883 -4.42594 0.205
C 0.95826 -1.38119 -5.80936 -1.193
C -0.03974 -0.56919 -6.29010 0.278
C -0.44321 -0.23812 -7.69647 -0.794
C -1.66431 0.69977 -7.55167 -0.731
C -1.84668 0.86850 -6.07358 0.077
C -2.75064 1.60298 -5.35321 -1.222
C -2.57696 1.66921 -3.96663 0.196
C -1.59685 0.97747 -3.25701 -0.404
P -1.45151 1.66744 -1.55536 2.769
C -3.18252 1.52287 -0.98835 0.816
C -3.94065 2.60734 -0.55213 -0.348
C -5.28984 2.43879 -0.26641 -0.894
C -5.88700 1.19594 -0.40909 -0.965
C -5.13254 0.10858 -0.83703 -0.804
C -3.78767 0.26655 -1.12167 -0.560
C -1.09539 3.44015 -1.79029 1.045
C -1.23136 4.30447 -0.69990 -0.587
C -1.01914 5.66454 -0.84859 -0.788
C -0.64264 6.17678 -2.08285 -0.988
C -0.45516 5.32074 -3.15791 -0.899
C -0.67617 3.95899 -3.01585 -0.592
C -0.77331 0.05037 -3.96908 -1.970
C -0.88247 0.10860 -5.38013 0.710
H -0.88429 -3.01694 -4.19890 0.672
H -1.42278 -5.35717 -4.60785 0.560
H -0.52395 -7.91889 -3.13131 0.315
H -2.23873 -7.70679 -2.88319 0.358
H -0.27858 -8.50822 -0.85989 0.347
H -1.97874 -8.23016 -0.58494 0.310
H -0.50651 -6.93769 1.75930 0.562
H -0.14039 -4.60704 2.36925 0.593
H -2.58079 -3.81388 1.65751 0.515
H -4.68691 -3.35393 2.83463 0.501
H -5.08393 -1.27393 4.03426 0.533
H -2.94674 -0.12821 4.69238 0.827
H -0.90504 -0.37695 3.40422 -0.176
H 0.29212 -2.13393 4.20090 0.699
H 2.45619 -2.92307 5.35334 0.600
H 4.63096 -2.58687 4.15125 0.792
H 4.52889 -3.47467 1.88121 0.508
H 2.34093 -3.53168 0.72424 0.524
H 1.72105 -2.30138 -4.02878 0.665
H 1.64380 -1.90106 -6.46527 0.578
H -0.68615 -1.14608 -8.25070 0.309
********
Us humans can hear only a small portion of sound waves in the air. Out of the entire audio spectrum, our eardrums can only perceive waves between 20hz and 20,000hz. To put that into perspective, there might be waves all round us at 100,000hz or even higher, but we will never hear them because they are so far above what our ears can pick up. We’ll get more into frequencies and hertz in the article titled “The Sound Wave.” But for now, just understand that 20hz is a very low pitched sound and 20,000hz (abbreviated 20khz) is a very high pitched sound to our ears.